Wednesday, 19 September 2012

Don’t worry be happy

bismillah and assalamualaikum ^^
Actually today I got my muet result but it still need to be fixed ^^…
maybe i not struggle enough In speaking.
today I want to said some motivation and advise from a book that I have read…

         Don’t ever said that we are garbage. How long we have put up with mistreatment???
the answer is as long as she has a low opinion of herself. People treat us the way we treat ourselves with respect . if we treat ourselves with respect ,they will follow treat us with respect to. That is the rule of world. Don’t ever said that I reserve it because actually that can  reduce you motivation towards redha of Allah. Allah ask us to be good to ourselves not to be harm, even when we follow it good thing will happened in your life( please3 believe what I said).words is power if in our daily life we train to be positive than that’s it you are what you said.
       You deserve love and respect just because you are you. Please said to yourselves thank you when other peoples praise your effort and never said that it is luck. Why I said that because that’s is your talent and Allah give that to you not in accidently, why must we said a negative words.sup

       For example when we recognizes our beauty (ehem2 I’am) also ourselves image , of course our face full of sunshine and it automatically  reflected in our surrounding.

     Separate your behavior from yourself – realized that your behavior is not connected to yourself-worth. If you do something silly, like drop the book of your friends without intention it doesn’t make you a bad person (humans is created with non perfect but with effort they will get what they want).

     To make all people are easy with you is impossible. Be what you are is easy… people will come to you with what you  are. If you are sincere they can read deep in your eyes.

Saturday, 15 September 2012

managerial accountant to be ^^

_Unrelated to this page: data records_
........
A relaxed structure of Mg5Hg. Source: Alexandria via LeMat-Bulk, functional PBE-GGA.

```
data_Mg5Hg
_chemical_formula_sum 'Mg15 Hg3'
_symmetry_space_group_name_H-M 'R 3 2'
_symmetry_Int_Tables_number 155
_symmetry_space_group_name_Hall 'R 3 2"'
_cell_length_a 5.5145
_cell_length_b 5.5145
_cell_length_c 15.1162
_cell_angle_alpha 90.00
_cell_angle_beta 90.00
_cell_angle_gamma 120.00
loop_
_atom_site_label
_atom_site_type_symbol
_atom_site_fract_x
_atom_site_fract_y
_atom_site_fract_z
Mg1 Mg 0.0000 0.0000 0.1664
Mg2 Mg 0.0000 0.6615 0.0000
Hg1 Hg 0.0000 0.0000 0.5000
```



A relaxed structure of MgHg2. Source: Alexandria via LeMat-Bulk, functional PBE-GGA.

```
data_MgHg2
_chemical_formula_sum 'Mg4 Hg8'
_symmetry_space_group_name_H-M 'I 41/a m d'
_symmetry_Int_Tables_number 141
_cell_length_a 3.311
_cell_length_b 3.311
_cell_length_c 25.512
_cell_angle_alpha 90.00
_cell_angle_beta 90.00
_cell_angle_gamma 90.00
loop_
_symmetry_equiv_pos_as_xyz
'x,y,z'
'-x,-y,-z'
'-y+1/4,x+3/4,z+1/4'
'y+1/4,-x+3/4,-z+1/4'
'-x+1/2,-y,z+1/2'
'x+1/2,y,-z+1/2'
'y+1/4,-x+1/4,z+3/4'
'-y+1/4,x+1/4,-z+3/4'
'x,-y,-z'
'-x,y,z'
'-y+1/4,-x+1/4,-z+3/4'
'y+1/4,x+1/4,z+3/4'
'-x+1/2,y,-z+1/2'
'x+1/2,-y,z+1/2'
'y+1/4,x+3/4,-z+1/4'
'-y+1/4,-x+3/4,z+1/4'
'x+1/2,y+1/2,z+1/2'
'-x+1/2,-y+1/2,-z+1/2'
'-y+3/4,x+1/4,z+3/4'
'y+3/4,-x+1/4,-z+3/4'
'-x,-y+1/2,z'
'x,y+1/2,-z'
'y+3/4,-x+3/4,z+1/4'
'-y+3/4,x+3/4,-z+1/4'
'x+1/2,-y+1/2,-z+1/2'
'-x+1/2,y+1/2,z+1/2'
'-y+3/4,-x+3/4,-z+1/4'
'y+3/4,x+3/4,z+1/4'
'-x,y+1/2,-z'
'x,-y+1/2,z'
'y+3/4,x+1/4,-z+3/4'
'-y+3/4,-x+1/4,z+3/4'
loop_
_atom_site_label
_atom_site_type_symbol
_atom_site_fract_x
_atom_site_fract_y
_atom_site_fract_z
Mg1 Mg 0.000 0.250 0.375
Hg1 Hg 0.000 0.250 0.800
```



A relaxed structure of MgHg2. Source: Alexandria via LeMat-Bulk, functional PBE-GGA.

```
data_MgHg2
_chemical_formula_sum 'Mg4 Hg8'
_symmetry_space_group_name_H-M 'C m c m'
_symmetry_Int_Tables_number 63
_symmetry_space_group_name_Hall '-C 2c 2'
_cell_length_a 3.635
_cell_length_b 14.320
_cell_length_c 5.242
_cell_angle_alpha 90.00
_cell_angle_beta 90.00
_cell_angle_gamma 90.00
loop_
_atom_site_label
_atom_site_type_symbol
_atom_site_fract_x
_atom_site_fract_y
_atom_site_fract_z
Mg1 Mg 0.000 0.100 0.250
Hg1 Hg 0.000 0.238 0.750
Hg2 Hg 0.000 0.435 0.250
```



A relaxed structure of MgHg2. Source: Alexandria via LeMat-Bulk, functional PBE-GGA.

```
data_MgHg2
_chemical_formula_sum 'Mg4 Hg8'
_symmetry_space_group_name_H-M 'C 1 2/m 1'
_symmetry_Int_Tables_number 12
_cell_length_a 11.457
_cell_length_b 3.558
_cell_length_c 7.113
_cell_angle_alpha 90.00
_cell_angle_beta 109.98
_cell_angle_gamma 90.00
loop_
_symmetry_equiv_pos_as_xyz
'x,y,z'
'-x,-y,-z'
'-x,y,-z'
'x,-y,z'
'x+1/2,y+1/2,z'
'-x+1/2,-y+1/2,-z'
'-x+1/2,y+1/2,-z'
'x+1/2,-y+1/2,z'
loop_
_atom_site_label
_atom_site_type_symbol
_atom_site_fract_x
_atom_site_fract_y
_atom_site_fract_z
Mg1 Mg 0.013 0.000 0.264
Hg1 Hg 0.152 0.500 0.063
Hg2 Hg 0.163 0.500 0.594
```
........

nampaknya dia memang tidak berperasaan...jop teruskan single mingle...jadikan diri ibarat buah apple yang tertinggi sekali bukan apple yang ditanah...aku akan teruskan usahaku dulu kini dan selamanya...agenda kemanisan dunia dan akhirat  ^^...fuhlamak ok la kan memang setiap orang mendambakan kasih sayang Allah dan bak kata ustazah fatimah syarhah raih cinta tertinggi ya Allah reservekan untuk kita kaum wanita...walaupun bukan didunia Allah sudah janjikan pada kita kaum wanita bidadara di syurga...subhanallah...

peganglah kata2 ustaz lukman(pensyarah fsu)

kalau kita wanita nak bahagia suami mesti ada 4 ini:
3.jiran yang baik -ikut kefahaman saya(sahabat yang baik)
4. ??? (tak tahulah padaku kecintaanya pada Allah dan Rasulullah)

5.syatratnya orang pahang(sebab pada saya orang pahang yang saya jumpa  tu lembut dan unik watima lelaki ataupun perempuan)..ops terpuji lebih sudah...hehe... lau nak bahagia sabarlah kan hehe...kerja jadi akautan managerial dululah hehe...
waktu tu serah je pada mak dalam urusan jodoh ...asal ada 4 4 perkara tu kira oklah...bahagia nanti anak2ku in the future dapat ayah yang soleh kan ..nah siap hafal al-Quran lagi...masyuk kan hehe...

now my aim to be an accoutant ...biarkan mereka di sekeliling mengetertawakan...aku tetap berdiri megah dan berwawasan.... heak3 ^^...

Tuesday, 4 September 2012

hari ni abang shahril datang umah bawak anak dia nama auni farishah 10 bulan...abang shahril ialah cousin saya yang agak rapat juga waktu kecik2 ...seronok rasanya bila dapat jumpa dengan dia semula...
tak sangka masa berlalu dengan terlalu cepat rupanya ,dia sudah makin berisi nampaknya bahagia bersama keluarga tercinta alhamdulillah praise to Allah ^^....perjalanan dan pengalaman mengajar kita lebih menghargaai dan mengerti kehidupan...